Data:
********
No. 1
For Ti2FeB2Ru3Rh2, the PBE geometry in the Materials Project gives the simulated PXRD pattern in this record (a wavelength of 1.5418 Å).
Intensities are scaled so that the largest is 100.

Most intense lines, 10 to 90 degrees two-theta, low angle first:
- hkl 0 1 0, 2θ = 30.14°, intensity 82.9
- hkl 2 1 -1, 2θ = 37.48°, intensity 92.1
- hkl 1 0 4, 2θ = 40.64°, intensity 73.5
- hkl 4 0 1, 2θ = 40.84°, intensity 71.2
- hkl 2 1 2, 2θ = 41.34°, intensity 52.9
- hkl 1 1 -3, 2θ = 43.70°, intensity 100.0
- hkl 3 1 -1, 2θ = 43.80°, intensity 97.9
- hkl 3 1 -2, 2θ = 47.17°, intensity 66.7

Structural model:
```
data_Ti2FeB2Ru3Rh2
_cell_length_a 9.108
_cell_length_b 2.965
_cell_length_c 9.157
_cell_angle_alpha 90.00
_cell_angle_beta 90.17
_cell_angle_gamma 90.00
_symmetry_space_group_name_H-M 'P 1 2/m 1'
_symmetry_Int_Tables_number 10
loop_
_symmetry_equiv_pos_as_xyz
'x,y,z'
'-x,-y,-z'
'-x,y,-z'
'x,-y,z'
loop_
_atom_site_label
_atom_site_fract_x
_atom_site_fract_y
_atom_site_fract_z
Ti1 0.176 0.000 0.182
Ti2 0.322 0.000 0.674
Fe1 0.000 0.000 0.500
Fe2 0.500 0.000 0.000
B1 0.124 0.000 0.873
B2 0.374 0.000 0.373
Ru1 0.073 0.500 0.713
Ru2 0.213 0.500 0.427
Ru3 0.428 0.500 0.212
Rh1 0.000 0.500 0.000
Rh2 0.285 0.500 0.927
Rh3 0.500 0.500 0.500
```

No. 2
For ZrSi, the PBE geometry in the Materials Project gives the simulated PXRD pattern in this record (a wavelength of 1.5418 Å).
Intensities are scaled so that the largest is 100.

Most intense lines, 10 to 90 degrees two-theta, low angle first:
- hkl 1 0 1, 2θ = 23.35°, intensity 59.9
- hkl 2 0 0, 2θ = 34.58°, intensity 78.5
- hkl 1 1 2, 2θ = 40.47°, intensity 100.0
- hkl 2 1 1, 2θ = 42.15°, intensity 25.3
- hkl 2 2 0, 2θ = 49.71°, intensity 27.1
- hkl 3 1 2, 2θ = 65.96°, intensity 45.3
- hkl 2 0 4, 2θ = 77.32°, intensity 14.2
- hkl 4 2 0, 2θ = 83.31°, intensity 11.8

Structural model:
```
data_ZrSi
_cell_length_a 5.187
_cell_length_b 5.187
_cell_length_c 5.612
_cell_angle_alpha 90.00
_cell_angle_beta 90.00
_cell_angle_gamma 90.00
_symmetry_space_group_name_H-M 'I 41/a m d'
_symmetry_Int_Tables_number 141
loop_
_symmetry_equiv_pos_as_xyz
'x,y,z'
'-x,-y,-z'
'-y+1/4,x+3/4,z+1/4'
'y+1/4,-x+3/4,-z+1/4'
'-x+1/2,-y,z+1/2'
'x+1/2,y,-z+1/2'
'y+1/4,-x+1/4,z+3/4'
'-y+1/4,x+1/4,-z+3/4'
'x,-y,-z'
'-x,y,z'
'-y+1/4,-x+1/4,-z+3/4'
'y+1/4,x+1/4,z+3/4'
'-x+1/2,y,-z+1/2'
'x+1/2,-y,z+1/2'
'y+1/4,x+3/4,-z+1/4'
'-y+1/4,-x+3/4,z+1/4'
'x+1/2,y+1/2,z+1/2'
'-x+1/2,-y+1/2,-z+1/2'
'-y+3/4,x+1/4,z+3/4'
'y+3/4,-x+1/4,-z+3/4'
'-x,-y+1/2,z'
'x,y+1/2,-z'
'y+3/4,-x+3/4,z+1/4'
'-y+3/4,x+3/4,-z+1/4'
'x+1/2,-y+1/2,-z+1/2'
'-x+1/2,y+1/2,z+1/2'
'-y+3/4,-x+3/4,-z+1/4'
'y+3/4,x+3/4,z+1/4'
'-x,y+1/2,-z'
'x,-y+1/2,z'
'y+3/4,x+1/4,-z+3/4'
'-y+3/4,-x+1/4,z+3/4'
loop_
_atom_site_label
_atom_site_fract_x
_atom_site_fract_y
_atom_site_fract_z
Zr1 0.000 0.250 0.375
Si1 0.000 0.250 0.875
```

No. 3
For TmZn, the PBE geometry in the Materials Project gives the simulated PXRD pattern in this record (a wavelength of 1.5418 Å).
Intensities are scaled so that the largest is 100.

Most intense lines, 10 to 90 degrees two-theta, low angle first:
- hkl 1 0 0, 2θ = 25.27°, intensity 19.9
- hkl 1 1 0, 2θ = 36.04°, intensity 100.0
- hkl 1 1 1, 2θ = 44.53°, intensity 6.1
- hkl 2 0 0, 2θ = 51.89°, intensity 17.5
- hkl 2 1 0, 2θ = 58.57°, intensity 8.4
- hkl 2 1 1, 2θ = 64.80°, intensity 35.6
- hkl 2 2 0, 2θ = 76.44°, intensity 11.0
- hkl 3 1 0, 2θ = 87.53°, intensity 15.8

Structural model:
```
data_TmZn
_cell_length_a 3.524
_cell_length_b 3.524
_cell_length_c 3.524
_cell_angle_alpha 90.00
_cell_angle_beta 90.00
_cell_angle_gamma 90.00
_symmetry_space_group_name_H-M 'P m -3 m'
_symmetry_Int_Tables_number 221
_symmetry_space_group_name_Hall '-P 4 2 3'
loop_
_atom_site_label
_atom_site_fract_x
_atom_site_fract_y
_atom_site_fract_z
Tm1 0.000 0.000 0.000
Zn1 0.500 0.500 0.500
```

No. 4
For LiCuS, the PBE geometry in the Materials Project gives the simulated PXRD pattern in this record (a wavelength of 1.5418 Å).
********
Activity:
Could you say how many lines of the material earlier on hold the word "Rh2", as a bare number?
Response:
1